• Exercise:
Please echo all of the lines below verbatim.

• Listing:
- - -
The following is a DFT calculation (ωB97M-V/def2-TZVPD) of a molecular structure, C60H45N9P2RbS in a non-equilibrium geometry.

Properties
energy	-106429.304	eV
HOMO level (alpha / beta)	-3.37 / -3.37	eV
multiplicity	1
net charge	-1
frontier orbital gap (alpha / beta)	4.92 / 4.92	eV

Each line ends with the Mulliken charge.
Positions of all 118 atoms, in Å:
Rb: -15.629 10.128 7.806  0.937
C: -18.164 4.117 10.753  -0.561
C: -17.576 3.549 9.632  -1.027
C: -16.646 4.345 9.042  0.293
C: -16.387 5.640 9.449  0.772
C: -15.476 6.722 8.907  -1.320
N: -15.789 7.800 9.459  0.110
C: -16.763 7.656 10.482  -1.644
N: -17.383 8.542 11.222  -0.384
C: -17.142 9.826 11.220  -0.070
C: -17.859 10.908 11.802  0.866
C: -19.192 10.857 12.285  -1.083
C: -19.714 12.119 12.465  -0.345
C: -19.078 13.334 12.194  -0.981
C: -17.757 13.224 11.692  0.026
C: -17.060 12.038 11.551  0.257
C: -15.895 11.613 10.914  -0.399
N: -14.974 12.608 10.547  -0.549
C: -13.860 12.284 9.986  -0.024
N: -13.544 11.034 9.560  -0.376
C: -12.446 11.101 8.772  -0.382
N: -11.830 10.129 7.936  -0.551
C: -12.362 8.963 7.748  -0.073
N: -13.574 8.440 8.070  0.053
C: -13.610 7.165 7.689  0.495
N: -14.522 6.341 7.971  -0.201
C: -12.412 6.811 6.849  -0.145
C: -12.191 5.721 6.085  -0.237
C: -11.048 5.690 5.328  -0.587
C: -10.175 6.770 5.382  -0.468
C: -10.430 7.882 6.175  0.114
C: -11.641 7.918 6.879  -0.205
C: -11.866 12.393 8.723  0.831
C: -10.710 12.954 8.266  -0.132
C: -10.488 14.286 8.285  -0.654
C: -11.499 15.127 8.832  -0.651
C: -12.630 14.543 9.396  -0.042
C: -12.814 13.201 9.422  -0.051
N: -15.979 10.319 10.591  -0.231
C: -17.177 6.293 10.395  0.849
C: -17.961 5.433 11.197  0.532
H: -18.924 3.576 11.256  0.383
H: -17.784 2.542 9.268  0.416
H: -16.095 4.178 8.102  0.374
H: -19.702 9.921 12.402  0.565
H: -20.747 12.113 12.806  0.331
H: -19.456 14.353 12.324  0.375
H: -17.342 14.193 11.420  0.418
H: -12.828 4.839 6.138  0.447
H: -10.789 4.761 4.815  0.346
H: -9.197 6.727 4.876  0.324
H: -9.710 8.740 6.038  0.369
H: -9.931 12.252 7.895  0.360
H: -9.692 14.734 7.797  0.467
H: -11.244 16.208 8.859  0.303
H: -13.410 15.106 9.918  0.459
H: -18.534 5.807 12.080  0.382
C: -25.290 9.223 8.778  -0.695
S: -24.333 10.702 8.232  -0.121
C: -22.793 9.892 7.782  -0.663
C: -22.067 9.293 8.945  0.384
C: -20.575 9.223 8.804  -0.625
N: -20.275 8.099 7.909  0.382
P: -18.854 8.686 6.915  0.821
C: -19.877 9.810 5.909  1.004
C: -21.114 9.441 5.478  -0.950
C: -21.857 10.319 4.716  -0.661
C: -21.357 11.583 4.435  -0.676
C: -20.101 11.970 4.864  -0.512
C: -19.398 11.089 5.626  -0.852
C: -18.585 7.241 5.705  -0.184
C: -19.219 6.859 4.553  0.130
C: -18.707 5.773 3.854  -0.569
C: -17.576 5.099 4.179  -0.801
C: -16.847 5.504 5.239  -0.341
C: -17.391 6.564 6.036  0.578
P: -20.237 6.415 8.478  0.988
C: -21.461 6.291 9.829  -0.101
C: -22.669 5.590 9.751  0.070
C: -23.567 5.517 10.815  -0.866
C: -23.267 6.120 12.027  -0.815
C: -22.112 6.830 12.110  -1.025
C: -21.159 6.938 11.031  0.549
C: -21.322 5.772 7.062  0.365
C: -20.918 4.687 6.328  -0.771
C: -21.717 4.071 5.330  -0.833
C: -22.831 4.712 4.921  -0.525
C: -23.234 5.933 5.501  -0.851
C: -22.538 6.357 6.639  -0.823
H: -26.198 9.546 9.261  0.435
H: -24.740 8.686 9.529  0.116
H: -25.533 8.602 7.875  0.180
H: -22.261 10.704 7.350  0.160
H: -22.993 9.224 6.975  0.190
H: -22.510 8.317 9.153  -0.728
H: -22.338 9.875 9.754  0.910
H: -20.011 9.191 9.813  -0.993
H: -20.140 10.074 8.290  1.052
H: -21.578 8.461 5.644  0.593
H: -22.856 9.911 4.333  0.286
H: -21.924 12.215 3.740  0.361
H: -19.658 12.948 4.519  0.345
H: -18.426 11.414 5.954  0.399
H: -20.149 7.367 4.251  0.225
H: -19.264 5.495 2.962  0.379
H: -17.280 4.253 3.587  0.404
H: -15.882 5.022 5.495  0.386
H: -16.823 6.903 6.879  -0.297
H: -23.027 5.277 8.745  0.217
H: -24.389 4.835 10.716  0.463
H: -23.993 6.214 12.781  0.415
H: -21.820 7.327 13.035  0.395
H: -20.163 7.407 11.146  0.263
H: -20.000 4.200 6.477  0.610
H: -21.390 3.158 4.905  0.468
H: -23.396 4.254 4.085  0.280
H: -24.070 6.427 5.057  0.573
- - -

• Solution:
The following is a DFT calculation (ωB97M-V/def2-TZVPD) of a molecular structure, C60H45N9P2RbS in a non-equilibrium geometry.

Properties
energy	-106429.304	eV
HOMO level (alpha / beta)	-3.37 / -3.37	eV
multiplicity	1
net charge	-1
frontier orbital gap (alpha / beta)	4.92 / 4.92	eV

Each line ends with the Mulliken charge.
Positions of all 118 atoms, in Å:
Rb: -15.629 10.128 7.806  0.937
C: -18.164 4.117 10.753  -0.561
C: -17.576 3.549 9.632  -1.027
C: -16.646 4.345 9.042  0.293
C: -16.387 5.640 9.449  0.772
C: -15.476 6.722 8.907  -1.320
N: -15.789 7.800 9.459  0.110
C: -16.763 7.656 10.482  -1.644
N: -17.383 8.542 11.222  -0.384
C: -17.142 9.826 11.220  -0.070
C: -17.859 10.908 11.802  0.866
C: -19.192 10.857 12.285  -1.083
C: -19.714 12.119 12.465  -0.345
C: -19.078 13.334 12.194  -0.981
C: -17.757 13.224 11.692  0.026
C: -17.060 12.038 11.551  0.257
C: -15.895 11.613 10.914  -0.399
N: -14.974 12.608 10.547  -0.549
C: -13.860 12.284 9.986  -0.024
N: -13.544 11.034 9.560  -0.376
C: -12.446 11.101 8.772  -0.382
N: -11.830 10.129 7.936  -0.551
C: -12.362 8.963 7.748  -0.073
N: -13.574 8.440 8.070  0.053
C: -13.610 7.165 7.689  0.495
N: -14.522 6.341 7.971  -0.201
C: -12.412 6.811 6.849  -0.145
C: -12.191 5.721 6.085  -0.237
C: -11.048 5.690 5.328  -0.587
C: -10.175 6.770 5.382  -0.468
C: -10.430 7.882 6.175  0.114
C: -11.641 7.918 6.879  -0.205
C: -11.866 12.393 8.723  0.831
C: -10.710 12.954 8.266  -0.132
C: -10.488 14.286 8.285  -0.654
C: -11.499 15.127 8.832  -0.651
C: -12.630 14.543 9.396  -0.042
C: -12.814 13.201 9.422  -0.051
N: -15.979 10.319 10.591  -0.231
C: -17.177 6.293 10.395  0.849
C: -17.961 5.433 11.197  0.532
H: -18.924 3.576 11.256  0.383
H: -17.784 2.542 9.268  0.416
H: -16.095 4.178 8.102  0.374
H: -19.702 9.921 12.402  0.565
H: -20.747 12.113 12.806  0.331
H: -19.456 14.353 12.324  0.375
H: -17.342 14.193 11.420  0.418
H: -12.828 4.839 6.138  0.447
H: -10.789 4.761 4.815  0.346
H: -9.197 6.727 4.876  0.324
H: -9.710 8.740 6.038  0.369
H: -9.931 12.252 7.895  0.360
H: -9.692 14.734 7.797  0.467
H: -11.244 16.208 8.859  0.303
H: -13.410 15.106 9.918  0.459
H: -18.534 5.807 12.080  0.382
C: -25.290 9.223 8.778  -0.695
S: -24.333 10.702 8.232  -0.121
C: -22.793 9.892 7.782  -0.663
C: -22.067 9.293 8.945  0.384
C: -20.575 9.223 8.804  -0.625
N: -20.275 8.099 7.909  0.382
P: -18.854 8.686 6.915  0.821
C: -19.877 9.810 5.909  1.004
C: -21.114 9.441 5.478  -0.950
C: -21.857 10.319 4.716  -0.661
C: -21.357 11.583 4.435  -0.676
C: -20.101 11.970 4.864  -0.512
C: -19.398 11.089 5.626  -0.852
C: -18.585 7.241 5.705  -0.184
C: -19.219 6.859 4.553  0.130
C: -18.707 5.773 3.854  -0.569
C: -17.576 5.099 4.179  -0.801
C: -16.847 5.504 5.239  -0.341
C: -17.391 6.564 6.036  0.578
P: -20.237 6.415 8.478  0.988
C: -21.461 6.291 9.829  -0.101
C: -22.669 5.590 9.751  0.070
C: -23.567 5.517 10.815  -0.866
C: -23.267 6.120 12.027  -0.815
C: -22.112 6.830 12.110  -1.025
C: -21.159 6.938 11.031  0.549
C: -21.322 5.772 7.062  0.365
C: -20.918 4.687 6.328  -0.771
C: -21.717 4.071 5.330  -0.833
C: -22.831 4.712 4.921  -0.525
C: -23.234 5.933 5.501  -0.851
C: -22.538 6.357 6.639  -0.823
H: -26.198 9.546 9.261  0.435
H: -24.740 8.686 9.529  0.116
H: -25.533 8.602 7.875  0.180
H: -22.261 10.704 7.350  0.160
H: -22.993 9.224 6.975  0.190
H: -22.510 8.317 9.153  -0.728
H: -22.338 9.875 9.754  0.910
H: -20.011 9.191 9.813  -0.993
H: -20.140 10.074 8.290  1.052
H: -21.578 8.461 5.644  0.593
H: -22.856 9.911 4.333  0.286
H: -21.924 12.215 3.740  0.361
H: -19.658 12.948 4.519  0.345
H: -18.426 11.414 5.954  0.399
H: -20.149 7.367 4.251  0.225
H: -19.264 5.495 2.962  0.379
H: -17.280 4.253 3.587  0.404
H: -15.882 5.022 5.495  0.386
H: -16.823 6.903 6.879  -0.297
H: -23.027 5.277 8.745  0.217
H: -24.389 4.835 10.716  0.463
H: -23.993 6.214 12.781  0.415
H: -21.820 7.327 13.035  0.395
H: -20.163 7.407 11.146  0.263
H: -20.000 4.200 6.477  0.610
H: -21.390 3.158 4.905  0.468
H: -23.396 4.254 4.085  0.280
H: -24.070 6.427 5.057  0.573